(Contents)
/*
Entry from the Open Molecules 2025 dataset: C36H32FGeN4O7Pt as an isolated structure in a non-equilibrium geometry (ωB97M-V with the def2-TZVPD basis set).

CARTESIAN COORDINATES (ANGSTROEM)
Pt  -0.929  -2.969  -0.581
Ge  -2.897  -4.285  -0.015
F  4.149  2.066  0.921
O  6.115  -4.139  0.026
O  0.115  -0.815  0.461
O  -3.777  -0.132  -0.708
O  -2.101  -1.484  -1.242
O  1.333  -6.254  0.274
O  6.022  -1.876  0.071
O  -0.298  -4.801  -0.073
N  1.359  -2.944  -0.920
N  3.459  4.604  -0.213
N  4.634  6.313  -1.659
N  -1.081  2.991  -0.508
C  3.213  5.930  0.306
C  -1.287  5.000  -2.050
C  -2.596  -0.407  -0.747
C  -1.574  0.647  -0.358
C  5.607  5.531  -0.853
C  -1.565  4.323  -0.736
C  5.654  -3.027  -0.038
C  -2.738  -5.372  1.634
C  1.902  -4.028  -0.377
C  -1.933  1.943  -0.548
C  -4.808  -2.413  1.192
C  1.995  1.257  0.506
C  -3.614  -7.254  2.850
C  -2.620  -7.098  3.801
C  -1.698  -6.073  3.679
C  0.247  2.758  -0.228
C  3.496  -1.932  -0.958
C  1.202  3.778  -0.314
C  2.136  -1.915  -1.224
C  -5.352  -3.067  -1.054
C  -2.684  4.589  -1.695
C  2.895  2.292  0.477
C  2.535  3.571  0.012
C  3.606  6.946  -0.783
C  -0.252  0.308  0.103
C  -4.494  -3.112  0.035
C  4.049  -3.063  -0.388
C  0.933  -5.159  -0.028
C  -6.874  -1.713  0.205
C  -3.670  -6.394  1.769
C  -1.758  -5.209  2.599
C  -6.001  -1.722  1.281
C  0.666  1.459  0.129
C  3.258  -4.154  -0.102
C  -6.546  -2.379  -0.964
C  4.880  4.304  -0.277
H  -4.119  -2.434  2.030
H  1.675  -1.050  -1.678
H  4.115  -1.074  -1.164
H  3.803  6.104  1.216
H  -3.079  -5.242  -1.201
H  -0.786  4.427  -2.817
H  5.992  6.183  -0.067
H  -2.968  2.167  -0.760
H  -0.923  -5.959  4.421
H  -1.026  6.047  -2.034
H  -6.263  -1.199  2.188
H  -7.813  -1.185  0.277
H  5.318  4.057  0.697
H  4.153  5.648  -2.282
H  5.103  7.024  -2.232
H  2.751  7.222  -1.403
H  -1.027  -4.418  2.484
H  -5.078  -3.583  -1.964
H  2.303  0.279  0.844
H  -1.533  4.932  0.162
H  -4.332  -8.055  2.947
H  -3.116  3.772  -2.252
H  5.014  3.440  -0.934
H  4.023  7.849  -0.336
H  -7.230  -2.363  -1.799
H  2.163  6.043  0.569
H  6.438  5.218  -1.485
H  0.899  4.749  -0.668
H  3.625  -5.073  0.329
H  -4.435  -6.517  1.013
H  -3.395  5.355  -1.428
H  -2.559  -7.780  4.636

## Properties
Net charge: +1
E_LUMO (alpha / beta) in eV: -3.51 / -5.88
Highest occupied orbital energy (alpha / beta) in eV: -9.1 / -9.0
⟨S²⟩: 2.01
Orbital gap (alpha / beta) in eV: 5.6 / 3.1
Spin multiplicity: 3

Calculated atomic charges, method Löwdin, unit e: Pt 1.314; Ge 0.980; F 0.082; O 0.031; O -0.009; O 0.110; O -0.212; O 0.152; O -0.011; O -0.265; N 0.011; N -0.107; N 0.051; N 0.011; C -0.121; C -0.092; C -0.573; C -0.017; C -0.077; C -0.257; C -0.716; C -0.334; C -0.166; C 0.058; C -0.117; C 0.096; C -0.075; C -0.073; C -0.070; C -0.112; C 0.007; C 0.067; C -0.119; C -0.117; C -0.071; C -0.175; C -0.135; C -0.076; C -0.304; C -0.360; C -0.050; C -0.558; C -0.067; C -0.117; C -0.117; C -0.074; C -0.040; C 0.084; C -0.070; C -0.124; H 0.108; H 0.115; H 0.115; H 0.140; H 0.001; H 0.115; H 0.142; H 0.148; H 0.108; H 0.102; H 0.108; H 0.108; H 0.140; H 0.193; H 0.194; H 0.137; H 0.095; H 0.101; H 0.143; H 0.159; H 0.108; H 0.111; H 0.144; H 0.140; H 0.108; H 0.131; H 0.144; H 0.105; H 0.140; H 0.101; H 0.114; H 0.108

---

Entry from the Open Molecules 2025 dataset: one molecule with the formula C3H4N2O (ωB97M-V with the def2-TZVPD basis set).

CARTESIAN COORDINATES (ANGSTROEM)
O  0.660  0.024  -1.379
N  0.804  -1.226  0.804
N  -1.309  -0.423  -0.158
C  1.031  -0.041  1.117
C  0.595  1.188  0.879
C  0.075  -0.147  -0.153
H  -1.582  -1.006  0.621
H  1.199  1.935  0.382
H  0.391  -0.727  -1.927
H  -1.864  0.422  -0.188

## Properties
E_LUMO in eV: 0.58
Highest occupied orbital energy in eV: -8.9
Orbital gap in eV: 9.5
Energy relative to the best compared isomer or geometry (same formula, charge and spin) in kcal/mol: 118.4
*/
(Brief)
Next, search the listing further up for the word "Energy" and give back each line that has it.
(Solution)
Energy relative to the best compared isomer or geometry (same formula, charge and spin) in kcal/mol: 118.4